_Job_
Count the lines below that contain the word "total" and give the number alone.

_Given_
********
1.
Here is C6H17GeILuO3SSbSe5 as an isolated structure at a distorted geometry from the OMol25 dataset. Energies are from the ωB97M-V functional and the def2-TZVPD basis.

Cartesian coordinates (Å):
1 Lu 0.3460 2.9750 0.9560
2 Ge 0.5686 -3.0631 -0.3569
3 H -2.9909 -0.7888 -0.2292
4 C 1.4065 -1.8047 -1.5446
5 O -3.4825 3.0662 -0.6535
6 H -1.8444 -0.7149 -1.6845
7 Sb 3.2765 1.6337 2.1249
8 O -1.8403 3.6815 1.2388
9 H -0.5166 -5.3236 -0.8474
10 H -0.6161 -2.5642 1.8765
11 H -2.5275 5.4922 -1.8803
12 H -1.7573 -4.1459 -0.3238
13 O -0.9342 3.1911 -0.9498
14 C -2.4646 5.4249 -0.7536
15 H 1.9051 -1.0060 -0.9756
16 H 2.4742 -4.0994 1.0123
17 C -0.8703 -4.2767 -0.9485
18 Se 3.7473 -0.7378 2.1295
19 H 1.2047 -5.2198 0.6536
20 H 2.3333 -4.8835 -0.6368
21 H -2.4962 0.8330 -0.9318
22 H 0.8365 -1.2392 -2.2862
23 C -2.2607 -0.2314 -0.7661
24 Se 1.1846 2.2228 3.5060
25 S -2.2610 3.6886 -0.2150
26 H -1.6333 6.0292 -0.4121
27 Se -0.7849 -0.1917 0.6088
28 I 1.0910 5.8647 0.8592
29 C 0.0434 -1.9941 1.2017
30 Se 5.4526 2.5920 2.8259
31 H 2.2974 -2.1189 -2.0842
32 Se 2.7085 2.1329 -0.3848
33 H -3.3388 5.6870 -0.1475
34 H -0.9352 -3.9956 -2.0034
35 H 0.8641 -1.6623 1.7973
36 C 1.8144 -4.4532 0.2251

The strongest force on any atom is 4.50 eV/A. The value obtained for the energy relative to the best compared isomer or geometry (same formula, charge and spin) is 0.0 kcal per mole. As for the charge: -2. Its frontier orbital gap is 5.152 eV. For the total energy, the calculation gives -454989.31472 eV.

2.
Here is one molecule with the formula C6H17N2 at a distorted geometry from the OMol25 dataset. Energies are from the ωB97M-V functional and the def2-TZVPD basis.

Cartesian coordinates (Å):
1 H 2.2577 1.1582 -0.1816
2 N 0.5098 2.6744 0.4219
3 H -3.2228 -1.0965 1.0319
4 H -1.9354 1.2250 0.3351
5 H -0.0617 1.4475 -1.1999
6 C 1.5270 0.3132 -0.0295
7 H -3.2290 -0.6013 -0.5858
8 H -0.9671 0.7384 1.7511
9 H 1.0730 -2.0314 0.1875
10 C 0.1645 1.2463 -0.1356
11 H -2.6907 -2.2559 -0.1518
12 C 1.5669 -2.0234 -0.7297
13 H -0.3801 3.1935 0.7389
14 H -0.6673 -0.9258 -0.5748
15 H 2.4659 -2.5687 -0.6732
16 H 0.9700 -2.4954 -1.4989
17 H -0.6920 -1.4274 0.9958
18 H 1.7021 -0.1983 0.9454
19 H 2.5783 -0.3597 -1.6559
20 H 1.0410 2.5824 1.2919
21 H 1.0994 3.2233 -0.2897
22 N 1.7308 -0.5779 -1.1483
23 C -1.1488 -0.8217 0.3334
24 C -0.9823 0.7756 0.7172
25 C -2.7092 -1.1944 0.1045

The strongest force on any atom is 6.34 eV/A. The value obtained for the energy relative to the best compared isomer or geometry (same formula, charge and spin) is 72.7 kcal per mole. Its frontier orbital gap (spin up / spin down) is 4.374 / 9.994 eV. Its spin multiplicity is 2. For the total energy, the calculation gives -9472.91473 eV.

3.
Here is one molecule with the formula C6H17N2 at a distorted geometry from the OMol25 dataset. Energies are from the ωB97M-V functional and the def2-TZVPD basis.

Cartesian coordinates (Å):
1 C 0.5077 1.9006 1.2168
2 C -2.1590 -0.5528 -0.7217
3 C 1.2655 0.6606 0.6425
4 H -2.9895 0.0309 -0.3493
5 H -0.1718 1.5948 2.0013
6 H -2.6560 -0.0547 -2.7026
7 H 2.1760 -1.1358 1.3519
8 H 2.0773 -0.7561 -1.1093
9 N -1.8106 0.0386 -2.0798
10 H -2.2915 -1.6094 -0.9268
11 H 1.1471 2.7064 1.5724
12 H -1.2882 0.1894 1.0772
13 C 1.0592 -1.1316 -0.9616
14 H 0.7303 -1.3953 -1.9598
15 H -0.8253 -1.4331 0.8409
16 H -0.9411 -0.3856 -2.4216
17 C -0.9529 -0.4874 0.3002
18 H 0.9979 -0.5376 2.4555
19 C 1.7831 -0.2060 1.7708
20 H 2.5944 0.2249 2.3414
21 N 0.3186 -0.0651 -0.2867
22 H 1.2103 -2.0263 -0.3419
23 H -1.6572 1.0733 -2.0408
24 H 1.9807 1.0641 -0.0703
25 H -0.1047 2.2933 0.4011

The strongest force on any atom is 2.45 eV/A. The value obtained for the energy relative to the best compared isomer or geometry (same formula, charge and spin) is 47.3 kcal per mole. Its frontier orbital gap (spin up / spin down) is 4.344 / 9.846 eV. Its spin multiplicity is 2. For the total energy, the calculation gives -9474.01827 eV.

4.
********

_Here it is_
3